Music for the People
Tuur Florizoone, composer, Belgium
(Picture: Eddy Macquoi)
Nominated for EUROPEAN COMPOSER 2008
for AANRIJDING IN MOSCOU (Moscow, Belgium)
Composer Tuur Florizoone (30), whose first name, he explains, is pronounced: “Tür - you know the word for door in German”, tells us about his fascination for nature, his romantic soul and gets through the interview by imitating an accordion and by humming the tunes from the soundtrack.
How is it to be nominated, as a first-time film composer, for the soundtrack of MOSCOW, BELGIUM?
It is very nice to get the invitation to be here.
In my opinion music is a very important part of a movie. It is the first time I have made the soundtrack for a movie so therefore the first time I am participating in such an event with a lot of different categories. It is nice to see music being a part of those categories.
Composing for a movie is very different from composing for a big band or doing a life performance. I am not the kind of musician who plays music to win awards. But still I wouldn’t miss to be here!
Do you think that a lot of people know the European Film Awards?
If people in the street don’t know enough of the European Film Awards, there is a job to do. It’s like brand. People know the brand coca cola - but they worked a long time on that brand. That is something we and you should do.
In Belgium there was a lot of attention this year - but still I admit it is called the Oscar of Europe. But that doesn’t make it less an honour to be here!
I think the European Film Academy and the award is important because we Europeans are very different from America or Asia and that is something to celebrate. I am extremely proud of being European, proud of being born where I was - even though there are a lot of political problems in Belgium right now.
What is it to be a European to you?
In Europe I think we have a mixture of cultures which is a really interesting thing. Even though we are different countries with different cultures we have a kind of the same way of looking at things. I very much like the European humour.
You find we have the same sense of humour?
Well, I think there is a difference between French and Scandinavian humour. French people stick very much to their own culture and language. In Belgium we speak both languages so I know the French culture very well although I am not really a part of it!
In fact I think it is difficult to generalize because we have so many different cultures - but under the surface of differences there is a thread of European humour which for a European is recognizable and which is never the same as an American or Asian sense of humour.
How would you describe European film?
I would say it’s honest, simplified, and [there are] less special effects in European film. They tell true stories.
How did it all get started with the soundtrack for MOSCOW, BELGIUM?
I met the director Christophe Van Rompaey after a concert. He came to talk to me and said, in his modest way, “You know what? I have this little project, I am not sure if I have enough money to do it but what do you think if you should do the music?”
And I said, “Just send me the script and we’ll see what happens.” I am used to talk to a lot of people about small projects and big projects and 90 percent of them never happen.
So he sends the script. And I am not used to read scripts. It’s a movie in a city about a 42-year-old woman having a car crash with a 30-year-old truck driver. They fall in love…. And, well, I am a romantic kind of guy - I have lived in Brazil playing the accordion for a while and I have a romantic mind. I like to play music with beautiful views of sea and nature - nature is extremely important for me. So, in the beginning I said, “Why did you ask me to do this? There is no nature in this movie!” I had to get used to it. I went twice through the script - and then I thought OK, let’s do it.
My instrument is the accordion. I think Christophe asked me because of the accordion. It is an instrument where people can dream. Everybody has a grandfather or a friend [who plays it] or at least they know the instrument from the shopping streets and somehow you always get moved by this instrument, this sound.
Attached: materials data:
(1)
{
  "formula": "Ca3Sb2N4",
  "functional": "PBE-GGA",
  "state": "optimized geometry",
  "m_tot_mub_per_fu": 0.0,
  "delta_e_f_mev_per_atom": -588,
  "total_energy_ev_per_cell": -102.94,
  "lattice": [[8.005, -1.453, -0.361], [-7.491, 9.573, 0.000], [-0.433, -0.339, 5.167]],
  "species": ["Ca", "Ca", "Ca", "Ca", "Ca", "Ca", "Sb", "Sb", "Sb", "Sb", "N", "N", "N", "N", "N", "N", "N", "N"],
  "frac_coords": [[0.215, 0.012, 0.060], [0.785, 0.798, 0.440], [0.785, 0.988, 0.940], [0.215, 0.202, 0.560], [0.000, 0.672, 0.750], [0.000, 0.328, 0.250], [0.613, 0.209, 0.660], [0.387, 0.596, 0.840], [0.387, 0.791, 0.340], [0.613, 0.404, 0.160], [0.227, 0.007, 0.575], [0.773, 0.780, 0.925], [0.773, 0.993, 0.425], [0.227, 0.220, 0.075], [0.659, 0.259, 0.065], [0.341, 0.600, 0.435], [0.341, 0.741, 0.935], [0.659, 0.400, 0.565]]
}


(2)
{
  "formula": "Ca2SbN3",
  "functional": "PBE-GGA",
  "state": "optimized geometry",
  "m_tot_mub_per_fu": 0.0,
  "delta_e_f_mev_per_atom": -587,
  "total_energy_ev_per_cell": -142.37,
  "lattice": [[6.264, 0.055, -0.007], [-9.832, 5.094, 0.000], [-0.370, -0.713, 12.194]],
  "species": ["Ca", "Ca", "Ca", "Ca", "Ca", "Ca", "Ca", "Ca", "Sb", "Sb", "Sb", "Sb", "N", "N", "N", "N", "N", "N", "N", "N", "N", "N", "N", "N"],
  "frac_coords": [[0.475, 0.036, 0.866], [0.525, 0.561, 0.634], [0.525, 0.964, 0.134], [0.475, 0.439, 0.366], [0.558, 0.902, 0.577], [0.442, 0.344, 0.923], [0.442, 0.098, 0.423], [0.558, 0.656, 0.077], [0.531, 0.260, 0.656], [0.469, 0.728, 0.844], [0.469, 0.740, 0.344], [0.531, 0.272, 0.156], [0.000, 0.595, 0.750], [0.000, 0.405, 0.250], [0.700, 0.178, 0.616], [0.300, 0.477, 0.884], [0.300, 0.822, 0.384], [0.700, 0.523, 0.116], [0.371, 0.077, 0.035], [0.629, 0.706, 0.465], [0.629, 0.923, 0.965], [0.371, 0.294, 0.535], [0.000, 0.958, 0.750], [0.000, 0.042, 0.250]]
}


(3)
{
  "formula": "Ca3Sc2N4",
  "functional": "PBE-GGA",
  "state": "optimized geometry",
  "m_tot_mub_per_fu": 0.0,
  "de_polymorph_mev_per_atom": 0,
  "delta_e_f_mev_per_atom": -1320,
  "total_energy_ev_per_cell": -124.92,
  "lattice": [[6.908, 0.018, 0.027], [-5.230, 6.684, 0.000], [-0.069, -0.054, 6.173]],
  "species": ["Ca", "Ca", "Ca", "Ca", "Ca", "Ca", "Sc", "Sc", "Sc", "Sc", "N", "N", "N", "N", "N", "N", "N", "N"],
  "frac_coords": [[0.225, 0.983, 0.985], [0.775, 0.758, 0.515], [0.775, 0.017, 0.015], [0.225, 0.242, 0.485], [0.000, 0.604, 0.750], [0.000, 0.396, 0.250], [0.621, 0.186, 0.606], [0.379, 0.566, 0.894], [0.379, 0.814, 0.394], [0.621, 0.434, 0.106], [0.240, 0.953, 0.569], [0.760, 0.713, 0.931], [0.760, 0.047, 0.431], [0.240, 0.287, 0.069], [0.705, 0.269, 0.936], [0.295, 0.563, 0.564], [0.295, 0.731, 0.064], [0.705, 0.437, 0.436]]
}


(4)
{
  "formula": "Ca3Sc2N4",
  "functional": "PBE-GGA",
  "state": "optimized geometry",
  "m_tot_mub_per_fu": 0.0,
  "de_polymorph_mev_per_atom": 64,
  "delta_e_f_mev_per_atom": -1256,
  "total_energy_ev_per_cell": -247.54,
I love this instrument because you can do a lot of different things with it. I do a lot of experimental things but when I began to do the soundtrack I wanted to do something else - like easier melodies, music for the people.
In the beginning where Matty [the 40 year old divorced woman with two kids] walks around the supermarket you are in an everyday situation. But the music is very dreamy and she walks around as if she was in a dream. And then when she walks out of the supermarket and into the parking - suddenly you have a guy playing the accordion outside and you have the feeling you wake up to the everyday life - what did you intend with this?
In fact this parking with the guy playing the accordion - it is me by the way! - is the reality of the place, it’s the feeling of the place. Ghent is a very cultural city where there is this neighbourhood which is called Moscow - after which they named the movie. It is a very popular place. It’s where poor people live. There used to be a lot of Russian people coming to Belgium to work and this is where they live and that’s why the movie is called Moscow.
But the fact that they took a street musician playing outside the supermarket was to hit reality straight away and to show the brutality of this place and also to picture her hard life.
Next to the text, the page also holds calculated crystals:
Record 1
Density functional theory data (PBE with a Hubbard U) for K5Na3Nb6W2O24 after structural relaxation.

Results
The total moment comes out at 1.76 Bohr magnetons per cell. The calculation puts the formation enthalpy at 0 K at -106.51 eV/f.u. Its crystal system is orthorhombic. For the energy, the calculation gives -7.40 eV per atom.

Lattice parameters (Å, degrees): 8.059 8.059 8.078 90.00 90.00 90.37
Sites, in units of the cell vectors:
Nb  0.499  0.499  0.748
O  0.004  0.004  0.500
O  0.499  0.250  0.746
O  0.750  0.499  0.748
O  0.498  0.498  0.500
O  0.998  0.998  0.000
K  0.750  0.750  0.000
O  0.004  0.752  0.748
Nb  0.001  0.499  0.252
O  0.998  0.248  0.254
O  0.499  0.002  0.500
O  0.000  0.500  0.000
O  0.500  0.000  0.000
Nb  0.499  0.499  0.252
O  0.250  0.499  0.254
K  0.750  0.750  0.500
W  0.000  0.000  0.748
O  0.248  0.998  0.254
O  0.500  0.500  0.000
O  0.499  0.250  0.254
O  0.499  0.750  0.748
O  0.499  0.750  0.252
K  0.251  0.749  0.000
Na  0.251  0.251  0.500
K  0.749  0.251  0.000
Nb  0.499  0.001  0.748
O  0.752  0.004  0.748
Nb  0.499  0.001  0.252
O  0.250  0.499  0.746
Na  0.749  0.251  0.500
O  0.752  0.004  0.252
O  0.004  0.752  0.252
O  0.998  0.248  0.746
Na  0.251  0.749  0.500
Nb  0.001  0.499  0.748
O  0.002  0.499  0.500
O  0.248  0.998  0.746
K  0.250  0.250  0.000
W  0.000  0.000  0.252
O  0.750  0.499  0.252

=====

Record 2
Density functional theory data (PBE with a Hubbard U) for LiFeP4O12 after structural relaxation.

Results
The total moment comes out at 20.00 Bohr magnetons per cell. The calculation puts the formation enthalpy at 0 K at -44.60 eV/f.u. Its distance to the lowest polymorph of the same formula is 0.0725 eV per atom. Its crystal system is orthorhombic. For the energy, the calculation gives -6.97 eV per atom.

Lattice parameters (Å, degrees): 7.429 7.429 18.117 90.00 90.00 101.72
Sites, in units of the cell vectors:
O  0.963  0.166  0.646
O  0.127  0.665  0.561
O  0.083  0.660  0.424
O  0.544  0.611  0.692
O  0.579  0.212  0.298
P  0.381  0.619  0.750
O  0.351  0.950  0.215
P  0.634  0.634  0.000
O  0.834  0.037  0.854
O  0.822  0.511  0.650
Li  0.794  0.899  0.140
P  0.765  0.667  0.692
O  0.905  0.335  0.519
O  0.665  0.127  0.439
O  0.788  0.421  0.202
O  0.716  0.842  0.234
O  0.254  0.315  0.570
P  0.667  0.765  0.308
O  0.649  0.050  0.715
O  0.158  0.284  0.266
O  0.340  0.917  0.076
P  0.773  0.287  0.989
O  0.917  0.340  0.924
O  0.212  0.579  0.702
P  0.713  0.227  0.511
P  0.231  0.955  0.152
O  0.839  0.803  0.365
O  0.873  0.335  0.061
Fe  0.046  0.437  0.621
O  0.315  0.254  0.430
O  0.611  0.544  0.308
O  0.095  0.665  0.019
Li  0.206  0.101  0.640
O  0.369  0.574  0.479
O  0.166  0.963  0.354
O  0.335  0.873  0.939
O  0.050  0.649  0.285
O  0.803  0.839  0.635
Fe  0.437  0.046  0.379
O  0.842  0.716  0.766
O  0.037  0.834  0.146
Fe  0.954  0.563  0.121
P  0.955  0.231  0.848
Fe  0.563  0.954  0.879
Li  0.899  0.794  0.860
P  0.366  0.366  0.500
You said before that you get your inspiration from nature and that you have a romantic soul. During the sex-scene in the truck again you hear this very dreamy music that takes you into another world although the surroundings again are a bit brutal. Can you tell me about your inspiration for this movie?
[Tuur hums the music from this scene]
I was so amazed by the beauty of this film, and that is nature as well - the nature of beauty.
I was present at a few moments during the filming and I got to know the people, the actors and actresses and everybody else who was involved. The extras were indeed a source of inspiration - because these people are far more dramatic than they appear in the movie. They are not actors and actresses but real people who try to get a little bit famous by doing these kinds of things.
But there is something very dramatic about them - and there are so many of them - and in the movie you see them as a silhouette. They really took it seriously. And I was writing down some melodies while I listened to their stories. They inspired me and I took some paper and wrote it down in the heat of the moment. The second main theme is inspired by them [Tuur hums the theme] - beating each other up to be in front of the camera. And this is said with all my respect - because these people are the reason why we do it.
Here we sit in this fancy hotel and talk about art - but don’t forget that in real life only very few [people] care whether the accordion was played in the right tune.
How did you and the director discuss the music?
The director Christophe has very strong ideas and there were discussions where we tried to convince each other - but that is a very natural thing. And I said to him: “Ok, just give me the chance one night.” I went home playing on my piano, recording, making a mix, sent it to him and then he would say: “Yes, it is almost good but maybe change the instrument.”
We made the movie in 20 days - it was a really low-budget movie. There was not so much time for making the music really. Everything was done so fast in this process. I saw the movie one day before I recorded the music. I learned a lot and I love to deal with different things.
Is that the reason why you agreed to this project - wanting to learn something new”?
That’s it - and also that I am a self-made man. I never learned how to play the accordion; I just took up the instrument. And someone said: “come and record something, come and play here,” and I just had the guts to do it. That’s how I learned it.
And the same goes with this sound track. And it is really funny because out of a sudden - we went to Cannes and other places and the film had lots of awards. And at the same time everyone is very much down to earth which I prefer. Everyone asked about the soundtrack and I had to admit that I was not a very experienced sound track guy
You won the world soundtrack award and maybe you win tonight as well -Is it the last time we see you making music for a movie?
I would love to do such a project another time, and then with more time, where I can make more exercise. That is the reason why I am in this life. I have made music forever - above being a composer, I play music. In fact, it is my 4th or 5th country this week - I am on tour all the time, I play music all the time. Playing music is what I do, I play music for people.
Interviewed by Frederikke Lett in Copenhagen, December 2008